== Brief ==
It remains to write out the rows underneath from the line with "7.80660 7.28602" to the end without additions.
== Given ==
- - -
C36H28BaCl5N9O2S5 | ωB97M-V/def2-TZVPD

The largest force on an atom is 3.0 eV/Å. The energy comes out at -6349.4533 Eh. Its total charge is -2. As for the LUMO energy: 3.6 eV. The value obtained for the energy above the lowest of the compared OMol25 structures with the same formula, charge and spin is 219.9 kJ/mol.

CARTESIAN COORDINATES (ANGSTROEM)
1 Ba -0.70005 -0.43201 0.07000
2 O -3.15604 1.55427 2.80704
3 C -3.93614 2.48470 2.24108
4 C -4.62736 3.37709 3.06515
5 C -5.44736 4.34020 2.51585
6 C -5.60201 4.42514 1.14019
7 C -4.91625 3.55694 0.31505
8 C -4.07653 2.58329 0.84458
9 C -3.31462 1.67829 -0.05602
10 O -2.38077 0.93751 0.41266
11 N -3.65288 1.78830 -1.30856
12 N -3.09923 0.96407 -2.21462
13 C -2.69864 1.38317 -3.32356
14 S -2.13810 0.24548 -4.54208
15 C -1.76497 1.48017 -5.84365
16 C -1.40399 2.77657 -5.15505
17 S -2.64698 3.11802 -3.86977
18 H -2.69172 1.08724 2.05976
19 H -4.49206 3.30280 4.13448
20 H -5.96326 5.03564 3.16364
21 H -6.24305 5.17916 0.70902
22 H -5.00926 3.61100 -0.75920
23 H -2.64782 1.58168 -6.47999
24 H -0.93091 1.09016 -6.42889
25 H -1.39384 3.61493 -5.85020
26 H -0.43192 2.68278 -4.67127
27 Cl -2.33078 -3.62251 -1.70136
28 C -0.64326 -3.51557 -2.03099
29 C 0.06214 -2.48508 -1.42606
30 C 1.40443 -2.41864 -1.78166
31 Cl 2.36855 -1.17957 -1.10223
32 C 2.00870 -3.30297 -2.66845
33 Cl 3.67484 -3.13823 -3.10132
34 C 1.26563 -4.34418 -3.21026
35 Cl 1.99803 -5.48325 -4.27704
36 C -0.07811 -4.45864 -2.88198
37 Cl -1.00415 -5.77376 -3.51774
38 N 3.17180 2.90963 -5.53077
39 C 2.73943 2.52573 -4.28562
40 N 3.24422 3.16602 -3.22671
41 N 1.80493 1.62626 -4.24707
42 C 1.14556 1.29790 -3.18245
43 N 0.43153 0.98232 -2.33554
44 H 4.08193 3.33298 -5.59715
45 H 2.92125 2.28958 -6.28300
46 H 3.98046 3.84136 -3.34872
47 H 3.13666 2.78488 -2.27584
48 S 4.90006 7.81706 0.16126
49 C 4.81414 6.17023 0.26024
50 S 3.90860 5.19452 -0.86572
51 C 4.35851 3.70009 0.11713
52 N 5.07677 4.03798 1.12950
53 N 5.35523 5.36287 1.20427
54 C 6.16364 5.78639 2.26499
55 C 7.05198 6.84369 2.09259
56 C 7.80660 7.28602 3.16130
57 C 7.70972 6.66375 4.39599
58 C 6.87522 5.56518 4.54659
59 C 6.10299 5.11944 3.48833
60 S 3.88817 2.18790 -0.35257
61 H 7.14384 7.31922 1.13000
62 H 8.47778 8.12249 3.02155
63 H 8.29352 7.02728 5.23325
64 H 6.82218 5.05703 5.50186
65 H 5.45035 4.26397 3.58486
66 N 2.43052 -1.67571 2.10129
67 H 2.81256 -0.76650 1.87595
68 H 3.11593 -2.37362 1.84349
69 H 2.28159 -1.72575 3.10079
70 C -0.05248 1.74656 5.88218
71 C 0.28555 2.03172 4.55047
72 C -0.00354 1.13883 3.55595
73 C -0.65577 -0.08610 3.81046
74 C -0.96853 -0.99850 2.76081
75 C -1.60631 -2.15767 3.15185
76 C -1.95209 -2.44983 4.48317
77 C -1.66180 -1.56270 5.47945
78 C -0.99786 -0.36111 5.16772
79 C -0.67918 0.56991 6.17792
80 H 0.18256 2.45605 6.66797
81 H 0.77602 2.96962 4.32452
82 H 0.27213 1.37283 2.53262
83 H -1.87318 -2.89528 2.40446
84 H -2.46405 -3.38107 4.71128
85 H -1.93794 -1.75342 6.51083
86 H -0.95028 0.32667 7.20061
- - -
== Response ==
56 C 7.80660 7.28602 3.16130
57 C 7.70972 6.66375 4.39599
58 C 6.87522 5.56518 4.54659
59 C 6.10299 5.11944 3.48833
60 S 3.88817 2.18790 -0.35257
61 H 7.14384 7.31922 1.13000
62 H 8.47778 8.12249 3.02155
63 H 8.29352 7.02728 5.23325
64 H 6.82218 5.05703 5.50186
65 H 5.45035 4.26397 3.58486
66 N 2.43052 -1.67571 2.10129
67 H 2.81256 -0.76650 1.87595
68 H 3.11593 -2.37362 1.84349
69 H 2.28159 -1.72575 3.10079
70 C -0.05248 1.74656 5.88218
71 C 0.28555 2.03172 4.55047
72 C -0.00354 1.13883 3.55595
73 C -0.65577 -0.08610 3.81046
74 C -0.96853 -0.99850 2.76081
75 C -1.60631 -2.15767 3.15185
76 C -1.95209 -2.44983 4.48317
77 C -1.66180 -1.56270 5.47945
78 C -0.99786 -0.36111 5.16772
79 C -0.67918 0.56991 6.17792
80 H 0.18256 2.45605 6.66797
81 H 0.77602 2.96962 4.32452
82 H 0.27213 1.37283 2.53262
83 H -1.87318 -2.89528 2.40446
84 H -2.46405 -3.38107 4.71128
85 H -1.93794 -1.75342 6.51083
86 H -0.95028 0.32667 7.20061